== To do ==
Repeat the lines underneath from the one with "0.05 eV" to the one with "(0.747, 0.825," exactly.

== Input ==
+++
Entry 1:
K2LiLaCl6: relaxed, PBE-GGA.

a b c (Å): 7.535 7.535 7.535
angles (deg): 60.00 60.00 60.00
Positions (direct):
K1 0.250 0.250 0.250
K2 0.750 0.750 0.750
Li1 0.000 0.000 0.000
La1 0.500 0.500 0.500
Cl1 0.241 0.241 0.759
Cl2 0.241 0.759 0.241
Cl3 0.241 0.759 0.759
Cl4 0.759 0.241 0.241
Cl5 0.759 0.241 0.759
Cl6 0.759 0.759 0.241

* calculated total energy: -4.0833 eV per atom
* symmetry: Fm-3m (225)
* energy of formation: -2.436 eV per atom


Entry 2:
La3Ti2N3O4: relaxed, PBE-GGA.

a b c (Å): 10.749 10.749 10.749
angles (deg): 159.06 158.54 30.16
Positions (direct):
La1 0.000 0.000 0.000
La2 0.182 0.182 0.000
La3 0.818 0.818 0.000
Ti1 0.407 0.407 0.000
Ti2 0.593 0.593 0.000
N1 0.101 0.601 0.500
N2 0.500 0.500 0.000
N3 0.899 0.399 0.500
O1 0.295 0.295 0.000
O2 0.398 0.898 0.500
O3 0.602 0.102 0.500
O4 0.705 0.705 0.000

* calculated total energy: -8.7706 eV per atom
* symmetry: Immm (71)
* energy of formation: -2.716 eV per atom
* ΔE to the lowest computed polymorph: 0.05 eV per formula unit


Entry 3:
Cs2KCeCl6: relaxed, PBE-GGA.

a b c (Å): 8.177 8.177 8.177
angles (deg): 60.00 60.00 60.00
Positions (direct):
Cs1 0.250 0.250 0.250
Cs2 0.750 0.750 0.750
K1 0.000 0.000 0.000
Ce1 0.500 0.500 0.500
Cl1 0.262 0.262 0.738
Cl2 0.262 0.738 0.262
Cl3 0.262 0.738 0.738
Cl4 0.738 0.262 0.262
Cl5 0.738 0.262 0.738
Cl6 0.738 0.738 0.262

* calculated total energy: -4.1062 eV per atom
* symmetry: Fm-3m (225)
* energy of formation: -2.482 eV per atom


Entry 4:
NdEuTiNbO6: relaxed, PBE-GGA.

a b c (Å): 5.669 5.669 5.669
angles (deg): 60.00 60.00 60.00
Positions (direct):
Nd1 0.000 0.000 0.000
Eu1 0.500 0.500 0.500
Ti1 0.250 0.250 0.250
Nb1 0.750 0.750 0.750
O1 0.004 0.004 0.496
O2 0.004 0.496 0.004
O3 0.004 0.496 0.496
O4 0.496 0.004 0.004
O5 0.496 0.004 0.496
O6 0.496 0.496 0.004

* calculated total energy: -9.1300 eV per atom
* symmetry: F-43m (216)
* energy of formation: -3.271 eV per atom


Entry 5:
ZnSi2SnO6: relaxed, PBE-GGA.

a b c (Å): 7.349 7.349 5.530
angles (deg): 104.98 104.98 85.52
Positions (direct):
Zn1 0.246 0.754 0.750
Zn2 0.754 0.246 0.250
Si1 0.118 0.297 0.713
Si2 0.297 0.118 0.213
Si3 0.703 0.882 0.787
Si4 0.882 0.703 0.287
Sn1 0.368 0.632 0.250
Sn2 0.632 0.368 0.750
O1 0.113 0.709 0.388
O2 0.183 0.190 0.953
O3 0.190 0.183 0.453
O4 0.195 0.511 0.824
O5 0.291 0.887 0.112
O6 0.489 0.805 0.676
O7 0.511 0.195 0.324
O8 0.709 0.113 0.888
O9 0.805 0.489 0.176
O10 0.810 0.817 0.547
O11 0.817 0.810 0.047
O12 0.887 0.291 0.612

* calculated total energy: -6.7316 eV per atom
* symmetry: C2/c (15)
* energy of formation: -2.563 eV per atom
* ΔE to the lowest computed polymorph: 0.00 eV per formula unit


Entry 6:
InOsO3: relaxed, PBE-GGA.

a b c (Å): 3.973 3.973 3.973
angles (deg): 90.00 90.00 90.00
Positions (direct):
In1 0.000 0.000 0.000
Os1 0.500 0.500 0.500
O1 0.000 0.500 0.500
O2 0.500 0.000 0.500
O3 0.500 0.500 0.000

* calculated total energy: -6.4883 eV per atom
* symmetry: Pm-3m (221)
* energy of formation: -1.136 eV per atom


> Look up the calculated total energy of the fifth one.

-6.7316 eV per atom

~~~~~

Record 1
Below is a relaxed Na6Zn3As4O19 crystal, with properties calculated at the GGA-PBE level.

## Properties
SG = P2_13, No. 198

Lattice parameters (Å, degrees): 12.339 12.339 12.339 90.00 90.00 90.00
Sites, in units of the cell vectors:
Na (0.252, 0.924, 0.509)
Na (0.491, 0.752, 0.576)
Na (0.424, 0.991, 0.748)
Na (0.752, 0.576, 0.491)
Na (0.991, 0.748, 0.424)
Na (0.924, 0.509, 0.252)
Na (0.748, 0.424, 0.991)
Na (0.509, 0.252, 0.924)
Na (0.576, 0.491, 0.752)
Na (0.248, 0.076, 0.009)
Na (0.009, 0.248, 0.076)
Na (0.076, 0.009, 0.248)
Na (0.247, 0.675, 0.993)
Na (0.007, 0.747, 0.825)
Na (0.175, 0.507, 0.753)
Na (0.747, 0.825, 0.007)
Na (0.507, 0.753, 0.175)
Na (0.675, 0.993, 0.247)
Na (0.753, 0.175, 0.507)
Na (0.993, 0.247, 0.675)
Na (0.825, 0.007, 0.747)
Na (0.253, 0.325, 0.493)
Na (0.493, 0.253, 0.325)
Na (0.325, 0.493, 0.253)
Zn (0.238, 0.626, 0.495)
Zn (0.505, 0.738, 0.874)
Zn (0.126, 0.005, 0.762)
+++

== Worked solution ==
* ΔE to the lowest computed polymorph: 0.05 eV per formula unit


Entry 3:
Cs2KCeCl6: relaxed, PBE-GGA.

a b c (Å): 8.177 8.177 8.177
angles (deg): 60.00 60.00 60.00
Positions (direct):
Cs1 0.250 0.250 0.250
Cs2 0.750 0.750 0.750
K1 0.000 0.000 0.000
Ce1 0.500 0.500 0.500
Cl1 0.262 0.262 0.738
Cl2 0.262 0.738 0.262
Cl3 0.262 0.738 0.738
Cl4 0.738 0.262 0.262
Cl5 0.738 0.262 0.738
Cl6 0.738 0.738 0.262

* calculated total energy: -4.1062 eV per atom
* symmetry: Fm-3m (225)
* energy of formation: -2.482 eV per atom


Entry 4:
NdEuTiNbO6: relaxed, PBE-GGA.

a b c (Å): 5.669 5.669 5.669
angles (deg): 60.00 60.00 60.00
Positions (direct):
Nd1 0.000 0.000 0.000
Eu1 0.500 0.500 0.500
Ti1 0.250 0.250 0.250
Nb1 0.750 0.750 0.750
O1 0.004 0.004 0.496
O2 0.004 0.496 0.004
O3 0.004 0.496 0.496
O4 0.496 0.004 0.004
O5 0.496 0.004 0.496
O6 0.496 0.496 0.004

* calculated total energy: -9.1300 eV per atom
* symmetry: F-43m (216)
* energy of formation: -3.271 eV per atom


Entry 5:
ZnSi2SnO6: relaxed, PBE-GGA.

a b c (Å): 7.349 7.349 5.530
angles (deg): 104.98 104.98 85.52
Positions (direct):
Zn1 0.246 0.754 0.750
Zn2 0.754 0.246 0.250
Si1 0.118 0.297 0.713
Si2 0.297 0.118 0.213
Si3 0.703 0.882 0.787
Si4 0.882 0.703 0.287
Sn1 0.368 0.632 0.250
Sn2 0.632 0.368 0.750
O1 0.113 0.709 0.388
O2 0.183 0.190 0.953
O3 0.190 0.183 0.453
O4 0.195 0.511 0.824
O5 0.291 0.887 0.112
O6 0.489 0.805 0.676
O7 0.511 0.195 0.324
O8 0.709 0.113 0.888
O9 0.805 0.489 0.176
O10 0.810 0.817 0.547
O11 0.817 0.810 0.047
O12 0.887 0.291 0.612

* calculated total energy: -6.7316 eV per atom
* symmetry: C2/c (15)
* energy of formation: -2.563 eV per atom
* ΔE to the lowest computed polymorph: 0.00 eV per formula unit


Entry 6:
InOsO3: relaxed, PBE-GGA.

a b c (Å): 3.973 3.973 3.973
angles (deg): 90.00 90.00 90.00
Positions (direct):
In1 0.000 0.000 0.000
Os1 0.500 0.500 0.500
O1 0.000 0.500 0.500
O2 0.500 0.000 0.500
O3 0.500 0.500 0.000

* calculated total energy: -6.4883 eV per atom
* symmetry: Pm-3m (221)
* energy of formation: -1.136 eV per atom


> Look up the calculated total energy of the fifth one.

-6.7316 eV per atom

~~~~~

Record 1
Below is a relaxed Na6Zn3As4O19 crystal, with properties calculated at the GGA-PBE level.

## Properties
SG = P2_13, No. 198

Lattice parameters (Å, degrees): 12.339 12.339 12.339 90.00 90.00 90.00
Sites, in units of the cell vectors:
Na (0.252, 0.924, 0.509)
Na (0.491, 0.752, 0.576)
Na (0.424, 0.991, 0.748)
Na (0.752, 0.576, 0.491)
Na (0.991, 0.748, 0.424)
Na (0.924, 0.509, 0.252)
Na (0.748, 0.424, 0.991)
Na (0.509, 0.252, 0.924)
Na (0.576, 0.491, 0.752)
Na (0.248, 0.076, 0.009)
Na (0.009, 0.248, 0.076)
Na (0.076, 0.009, 0.248)
Na (0.247, 0.675, 0.993)
Na (0.007, 0.747, 0.825)
Na (0.175, 0.507, 0.753)
Na (0.747, 0.825, 0.007)